# File
~~~
(1)
A 2-piece molecular cluster, C4H5NS overall in a non-equilibrium geometry. Source: OMol25; level of theory: ωB97M-V with the def2-TZVPD basis set.

XYZ file:
```
11
C4H5NS, DFT ωB97M-V with the def2-TZVPD basis set
H 1.710 -0.702 -0.227
H -1.103 -1.415 -0.980
H -0.062 -1.744 0.558
C -0.286 -1.131 -0.320
N -1.319 2.454 -0.710
C 0.894 -0.438 -0.875
H 1.010 -0.196 -1.922
C -0.820 1.442 -0.374
S 0.552 1.108 2.252
H -0.423 0.330 2.758
C -0.152 0.293 -0.159
```

Output
spin multiplicity = 1
HOMO-LUMO gap = 7.34 eV
highest occupied orbital energy = -9.243 eV
M = 99.158 g mol⁻¹
energy above the lowest of the compared OMol25 structures with the same formula, charge and spin = 368.2 kJ/mol
total charge = 0
F_max = 5.24 eV/A

(2)
A 14-piece molecular cluster, C46H90Cl10O18S8 overall in a non-equilibrium geometry. Source: OMol25; level of theory: ωB97M-V with the def2-TZVPD basis set.

XYZ file:
```
172
C46H90Cl10O18S8, DFT ωB97M-V with the def2-TZVPD basis set
O -2.393 0.324 -5.932
Cl 4.194 -3.366 2.818
S -1.353 5.247 3.639
S -4.470 0.893 0.918
H 0.572 4.566 -3.362
H -0.229 -0.470 -4.698
H -2.665 1.959 -1.483
Cl 0.104 -5.917 0.236
H -0.928 -3.110 -3.420
H -0.643 2.234 -4.051
H -3.107 -2.818 -0.285
H 5.378 -0.308 3.461
H 1.619 -1.853 1.484
Cl 2.673 -1.244 -3.556
C -2.841 -0.474 4.288
S -5.615 -4.474 -2.332
S 0.633 0.803 -0.376
H -1.935 -4.487 -1.874
H -0.803 -0.641 -3.060
C -3.303 2.598 -0.873
H -2.869 2.761 -3.441
H -3.828 3.148 1.156
C 3.716 3.840 0.406
H 4.349 -1.242 -5.124
H 5.096 2.296 2.390
C 1.661 -1.739 0.401
H 2.540 -0.318 -1.066
H 2.800 1.415 -4.785
C -3.477 -3.157 -1.253
H 1.829 1.437 3.093
H 4.253 0.957 -3.902
H -0.645 -0.310 1.234
H -0.453 3.566 -2.156
H -0.288 -6.599 -1.927
O -3.455 -0.054 -3.654
H -1.476 -0.237 -0.382
C -4.750 2.258 -1.419
Cl 1.706 -4.314 -1.975
C -0.375 4.088 -3.109
C 0.176 -1.853 -0.113
H -4.109 -6.329 -1.794
S 3.581 2.462 4.379
O 0.290 1.018 -1.783
C 6.397 -1.710 -0.955
H 5.165 3.847 -2.356
H -5.543 -2.312 -1.220
Cl 5.940 -0.313 -1.983
O 3.215 3.777 3.826
O -0.719 5.741 4.828
C 5.568 -2.987 -1.305
H 0.039 3.447 2.521
C -0.909 3.265 -4.283
C -4.962 -3.233 -1.176
H 5.906 1.978 3.775
H 4.624 0.031 1.973
H -1.215 -2.848 -6.427
H -4.819 -0.538 4.994
H 2.741 -0.930 -5.906
H 2.762 -6.256 -1.210
C -0.749 -2.546 -4.335
H -5.385 3.074 -1.072
O -5.423 1.371 1.892
H 0.271 -2.895 -4.498
H 3.420 -0.554 4.726
S -1.350 0.600 4.642
C 4.571 0.285 3.032
H -0.418 3.511 -5.225
H -3.573 -2.604 -4.611
C -1.597 -5.084 3.765
H 0.848 4.987 2.728
C -0.561 5.017 1.092
O -1.313 6.166 -2.236
C -0.575 -0.511 0.165
C 5.433 5.229 -0.834
H -2.704 -5.116 -0.463
H 1.607 1.081 4.711
H 1.699 -5.984 2.687
C -2.448 3.502 -4.120
H 0.471 -1.996 -1.153
C -3.916 -5.377 -2.288
O -6.594 -5.304 -1.660
H -3.468 -2.052 -6.336
C 2.390 1.071 3.953
H -2.968 3.586 -1.187
C 5.213 4.191 0.257
H 2.317 -2.576 0.164
Cl 6.127 -3.521 -2.942
H 2.648 -0.831 3.160
C -5.227 0.933 -0.796
H 7.457 -1.922 -1.094
H -2.958 3.434 -5.081
H -4.466 0.960 4.038
C -1.423 5.171 -2.937
O 0.790 1.943 0.537
C 3.387 -0.735 -5.050
O -2.396 4.241 3.641
H 3.167 4.510 1.068
H 4.381 5.384 -2.786
H 5.547 4.481 1.253
H 6.154 -1.403 0.062
C -2.909 -4.586 -1.394
H -5.190 -3.672 -0.204
C -4.101 0.254 4.784
C 0.577 -6.715 -1.274
C 4.589 4.689 -1.973
C -3.325 2.321 0.656
H 5.781 3.292 0.016
S -2.486 -0.454 -4.678
H -0.382 -2.713 0.257
H -3.546 -6.061 3.799
H 2.109 -3.800 3.743
H 2.785 0.054 0.677
H -3.184 -2.501 -2.073
H -2.149 2.629 5.709
S 3.002 3.894 -1.303
H -4.748 0.113 -1.330
C 1.883 -6.118 -1.840
C -0.106 4.526 2.470
H 6.491 5.462 -0.953
H -1.500 4.539 0.811
O -0.306 -0.254 5.184
C 2.977 -4.412 3.500
H -0.941 -5.948 3.659
H -1.351 6.995 0.460
C 3.690 0.787 -4.820
H -2.416 2.260 1.254
O -2.555 4.852 -3.496
H -4.677 2.209 -2.506
O -5.821 -3.880 -3.663
Cl 3.848 -6.406 1.837
O -3.747 -0.382 1.037
H 0.014 7.038 1.590
H -4.417 1.839 6.241
O -1.124 1.493 3.495
H 2.179 -4.795 1.527
O 2.925 2.540 -1.928
Cl -4.008 -3.778 3.443
H -3.636 -5.562 -3.325
H 0.651 -7.794 -1.140
C -0.911 -1.042 -4.068
~~~

# Brief
Next, print all of the contents further above character by character.

# Written answer
(1)
A 2-piece molecular cluster, C4H5NS overall in a non-equilibrium geometry. Source: OMol25; level of theory: ωB97M-V with the def2-TZVPD basis set.

XYZ file:
```
11
C4H5NS, DFT ωB97M-V with the def2-TZVPD basis set
H 1.710 -0.702 -0.227
H -1.103 -1.415 -0.980
H -0.062 -1.744 0.558
C -0.286 -1.131 -0.320
N -1.319 2.454 -0.710
C 0.894 -0.438 -0.875
H 1.010 -0.196 -1.922
C -0.820 1.442 -0.374
S 0.552 1.108 2.252
H -0.423 0.330 2.758
C -0.152 0.293 -0.159
```

Output
spin multiplicity = 1
HOMO-LUMO gap = 7.34 eV
highest occupied orbital energy = -9.243 eV
M = 99.158 g mol⁻¹
energy above the lowest of the compared OMol25 structures with the same formula, charge and spin = 368.2 kJ/mol
total charge = 0
F_max = 5.24 eV/A

(2)
A 14-piece molecular cluster, C46H90Cl10O18S8 overall in a non-equilibrium geometry. Source: OMol25; level of theory: ωB97M-V with the def2-TZVPD basis set.

XYZ file:
```
172
C46H90Cl10O18S8, DFT ωB97M-V with the def2-TZVPD basis set
O -2.393 0.324 -5.932
Cl 4.194 -3.366 2.818
S -1.353 5.247 3.639
S -4.470 0.893 0.918
H 0.572 4.566 -3.362
H -0.229 -0.470 -4.698
H -2.665 1.959 -1.483
Cl 0.104 -5.917 0.236
H -0.928 -3.110 -3.420
H -0.643 2.234 -4.051
H -3.107 -2.818 -0.285
H 5.378 -0.308 3.461
H 1.619 -1.853 1.484
Cl 2.673 -1.244 -3.556
C -2.841 -0.474 4.288
S -5.615 -4.474 -2.332
S 0.633 0.803 -0.376
H -1.935 -4.487 -1.874
H -0.803 -0.641 -3.060
C -3.303 2.598 -0.873
H -2.869 2.761 -3.441
H -3.828 3.148 1.156
C 3.716 3.840 0.406
H 4.349 -1.242 -5.124
H 5.096 2.296 2.390
C 1.661 -1.739 0.401
H 2.540 -0.318 -1.066
H 2.800 1.415 -4.785
C -3.477 -3.157 -1.253
H 1.829 1.437 3.093
H 4.253 0.957 -3.902
H -0.645 -0.310 1.234
H -0.453 3.566 -2.156
H -0.288 -6.599 -1.927
O -3.455 -0.054 -3.654
H -1.476 -0.237 -0.382
C -4.750 2.258 -1.419
Cl 1.706 -4.314 -1.975
C -0.375 4.088 -3.109
C 0.176 -1.853 -0.113
H -4.109 -6.329 -1.794
S 3.581 2.462 4.379
O 0.290 1.018 -1.783
C 6.397 -1.710 -0.955
H 5.165 3.847 -2.356
H -5.543 -2.312 -1.220
Cl 5.940 -0.313 -1.983
O 3.215 3.777 3.826
O -0.719 5.741 4.828
C 5.568 -2.987 -1.305
H 0.039 3.447 2.521
C -0.909 3.265 -4.283
C -4.962 -3.233 -1.176
H 5.906 1.978 3.775
H 4.624 0.031 1.973
H -1.215 -2.848 -6.427
H -4.819 -0.538 4.994
H 2.741 -0.930 -5.906
H 2.762 -6.256 -1.210
C -0.749 -2.546 -4.335
H -5.385 3.074 -1.072
O -5.423 1.371 1.892
H 0.271 -2.895 -4.498
H 3.420 -0.554 4.726
S -1.350 0.600 4.642
C 4.571 0.285 3.032
H -0.418 3.511 -5.225
H -3.573 -2.604 -4.611
C -1.597 -5.084 3.765
H 0.848 4.987 2.728
C -0.561 5.017 1.092
O -1.313 6.166 -2.236
C -0.575 -0.511 0.165
C 5.433 5.229 -0.834
H -2.704 -5.116 -0.463
H 1.607 1.081 4.711
H 1.699 -5.984 2.687
C -2.448 3.502 -4.120
H 0.471 -1.996 -1.153
C -3.916 -5.377 -2.288
O -6.594 -5.304 -1.660
H -3.468 -2.052 -6.336
C 2.390 1.071 3.953
H -2.968 3.586 -1.187
C 5.213 4.191 0.257
H 2.317 -2.576 0.164
Cl 6.127 -3.521 -2.942
H 2.648 -0.831 3.160
C -5.227 0.933 -0.796
H 7.457 -1.922 -1.094
H -2.958 3.434 -5.081
H -4.466 0.960 4.038
C -1.423 5.171 -2.937
O 0.790 1.943 0.537
C 3.387 -0.735 -5.050
O -2.396 4.241 3.641
H 3.167 4.510 1.068
H 4.381 5.384 -2.786
H 5.547 4.481 1.253
H 6.154 -1.403 0.062
C -2.909 -4.586 -1.394
H -5.190 -3.672 -0.204
C -4.101 0.254 4.784
C 0.577 -6.715 -1.274
C 4.589 4.689 -1.973
C -3.325 2.321 0.656
H 5.781 3.292 0.016
S -2.486 -0.454 -4.678
H -0.382 -2.713 0.257
H -3.546 -6.061 3.799
H 2.109 -3.800 3.743
H 2.785 0.054 0.677
H -3.184 -2.501 -2.073
H -2.149 2.629 5.709
S 3.002 3.894 -1.303
H -4.748 0.113 -1.330
C 1.883 -6.118 -1.840
C -0.106 4.526 2.470
H 6.491 5.462 -0.953
H -1.500 4.539 0.811
O -0.306 -0.254 5.184
C 2.977 -4.412 3.500
H -0.941 -5.948 3.659
H -1.351 6.995 0.460
C 3.690 0.787 -4.820
H -2.416 2.260 1.254
O -2.555 4.852 -3.496
H -4.677 2.209 -2.506
O -5.821 -3.880 -3.663
Cl 3.848 -6.406 1.837
O -3.747 -0.382 1.037
H 0.014 7.038 1.590
H -4.417 1.839 6.241
O -1.124 1.493 3.495
H 2.179 -4.795 1.527
O 2.925 2.540 -1.928
Cl -4.008 -3.778 3.443
H -3.636 -5.562 -3.325
H 0.651 -7.794 -1.140
C -0.911 -1.042 -4.068